Please write out the whole of the entries further below unchanged.
┌──
CsPa3Te6 PBE optimized geometry; formation energy without anion corrections = -19.3 kcal/mol of atoms
1.0
13.685 0.000 0.000
0.000 4.359 0.000
-4.128 0.000 13.102
Cs Pa Te
2 6 12
Direct
0.109 0.250 0.378
0.891 0.750 0.622
0.154 0.250 0.040
0.294 0.750 0.735
0.472 0.750 0.371
0.528 0.250 0.629
0.706 0.250 0.265
0.846 0.750 0.960
0.049 0.750 0.135
0.135 0.250 0.658
0.258 0.750 0.949
0.321 0.250 0.252
0.358 0.750 0.536
0.453 0.250 0.820
0.547 0.750 0.180
0.642 0.250 0.464
0.679 0.750 0.748
└──
CsPa3Te6 PBE optimized geometry; formation energy without anion corrections = -19.3 kcal/mol of atoms
1.0
13.685 0.000 0.000
0.000 4.359 0.000
-4.128 0.000 13.102
Cs Pa Te
2 6 12
Direct
0.109 0.250 0.378
0.891 0.750 0.622
0.154 0.250 0.040
0.294 0.750 0.735
0.472 0.750 0.371
0.528 0.250 0.629
0.706 0.250 0.265
0.846 0.750 0.960
0.049 0.750 0.135
0.135 0.250 0.658
0.258 0.750 0.949
0.321 0.250 0.252
0.358 0.750 0.536
0.453 0.250 0.820
0.547 0.750 0.180
0.642 0.250 0.464
0.679 0.750 0.748